localtrafficattorneys. - News 2022-12-16T14:39:49-07:00 localtrafficattorneys. 2020-05-22T10:00:00-06:00 2020-05-22T10:16:31-06:00 Through Challenge Emerges Something Amazing Jessa Claeys You’d be hard pressed at this point to find someone whose life hasn’t been impacted by the coronavirus in some way—whether physically, emotionally, financially, or otherwise. Our world has changed, and all of the uncertainty we’re experiencing is unsettling at best.


You’d be hard pressed at this point to find someone whose life hasn’t been impacted by the coronavirus in some way—whether physically, emotionally, financially, or otherwise. Our world has changed, and all of the uncertainty we’re experiencing is unsettling at best.

But amid all the doom and gloom, have you noticed any positives of this pandemic?

Neighbors are helping neighbors. Volunteers are donating blood. Sewers are making masks. Musicians are playing concerts from their balconies. The list goes on.

All you do-gooders out there, we see you! We’re beyond impressed, and you truly give us hope for humanity—and for the future post-COVID-19.

We at localtrafficattorneys also remain committed to doing good in our community (and beyond!).

We will get through this. We ARE getting through this. And we’re confident our collective efforts are making a difference.

One of our latest nonprofit partners, Colorado Miss Amazing, are no strangers to helping either. Here’s how they’re spreading positivity among those facing challenges of a different sort.

Recent Partnerships

Much like everyone else, the ripple effects of COVID-19 has had a negative impact on our business operations, partnership opportunities and many events we were excited about this year, but we still wanted to highlight the work we have done and that our partners do. One of our 2020 highlighted nonprofit Partners of the Month was Colorado Miss Amazing.

Colorado Miss Amazing Logo

Colorado Miss Amazing was born on the premise of pageantry, something its founder Jordan Somer participated in personally to expand her potential. After volunteering one year at the Special Olympics, Jordan was determined to make this platform accessible and empowering for the female athletes she met at the games. 
The first Miss Amazing pageant was held in November 2007 in Omaha, Nebraska. The program has since spread to 30+ states, including Colorado.

According to its website, “Colorado Miss Amazing is so much more than a pageant. The pageant is just the beginning of the journey. It is a platform for girls and women with disabilities to have their voices heard and their faces recognized, and to share their abilities, ambitions, and dreams with the world.”

But like most other events this year, the Colorado Miss Amazing pageant—initially slated to take place in March—was forced to postpone in the wake of the coronavirus. The good news is the show will go on September 26-27 in Parker, Colorado.

localtrafficattorneys is proudly one of the sponsors of the event this year. As with all past partnerships, we recently created custom-designed Colorado Miss Amazing branded apparel and products pro-bono to highlight and raise awareness of this nonprofit.
We also have committed to donating 50% of the profits from these sales directly to the organization moving forward as with all our past partners.

For this story, The 6th interviewed Jeanie Kochis, State Director of Colorado Miss Amazing so we could get a better understanding of how our donation will impact their work. 

Colorado Miss Amazing and localtrafficattorneys Team Members
Left to Right: Jeanie Kochis, Badi Tolo–Founder/CEO localtrafficattorneys, 
Phoebe Kochis–Former Pageant Queen and Daughter of Jeanie Kochis,
Laurie Pierce–Social Media Director Colorado Miss Amazing

(Photo taken during preparation for event before postponement due to COVID-19 concerns)

“Proceeds will go toward the expenses associated with holding our events for our participants, as well as to workshops intended to teach valuable life skills and provide opportunities to our participants to set goals and reach them,” Jeanie said.

Jeanie went on to say, “Because we are a self-advocacy organization, we see a lot of personal growth in our participants. I see so many of them become the best version of themselves, with our program contributing to that fact.

“Many of them gain the confidence to go on and do more for their cause and platform. It is indeed rewarding.”

In fact, these women are so amazing, you may have seen them out in the world making a difference.

“Some have gone on to become public speakers, actresses, dancers, policymakers, committee members, singers, performers, and entrepreneurs. When you see a woman with a disability helping a customer, or in a commercial, or dancing on a TV show, or acting in a movie, she quite possibly was a Miss Amazing participant!” Jeanie said.

 We’re not crying, you’re crying!

If you’re feeling as inspired by this organization as we are, Colorado Miss Amazing is always seeking volunteers and committee members to help plan and produce events, as well as photographers, videographers, caterers, florists, builders, entertainers, printers, promoters, and more.

“When given the opportunity, these girls and women soar. And we get to witness it!” added Jeanie.

For further event details and the most up-to-date information about this nonprofit, visit the Colorado Miss Amazing website.  


Wrapping Up 

We at localtrafficattorneys wish you and yours health and positivity amid these trying times. Please check out our Cause Collection here, as well as on Facebook and Instagram (Please use hashtags #repthe6th #onetribe) to connect and spread our mission of inspiring confidence and unity.

We hope you’ll take a minute to check out the Cause Collection for other merchandise that supports our past highlighted nonprofits. Together we are more powerful, and right now especially, we are so grateful for all who shop The 6th because its about more than clothing.

As always, if you would like to submit an organization that could benefit from a partnership, we encourage you to let us know in the comments below. You can also reach us directly here.

Thank you for all of your support and for being part of The 6th fam.

One Team. Together. One Tribe!

Jeanie Kochis Badi Tolo Phoebe Kochis



]]> 2019-11-14T22:29:00-07:00 2019-11-20T10:03:28-07:00 It Starts With Us Theresa Rosner This month’s partner is an incredible organization that has evolved significantly in the ten years since its inception. Mirror Image Arts was founded in 2008 with the mission to encourage a positive body image and self-worth by creating an emotional connection through performance. The organization’s goal was to discourage eating disorders by giving youth a positive channel to express themselves: theater. Through performance, young people are able to send a message and share a story.


Welcome back to another month at localtrafficattorneys. As we gear up for the holidays, it’s pretty hard to believe that we are fast approaching one year of service to our community. Every month this year has given localtrafficattorneys the opportunity to work with new people who are making a positive impact on the world and their surrounding community. We continue to be inspired by the generosity and spirit of service of the people we meet and work with each month. 

With Thanksgiving just around the corner, this brand is taking time to be extra thankful. We are thankful to the leadership within the organizations we partner with. It is such a pleasure to connect with such inspiring people, and building those bridges allows us to grow our audience and increase our impact. We are also incredibly thankful to those of you who have donated and made purchases on the website to help support these changemakers in our community. 

While localtrafficattorneys takes a little extra time to give thanks this month, we also encourage our followers and supporters to do the same. We see localtrafficattorneys as a community of like-minded people, who see the importance of interconnectedness in the community. This brand aspires to continue to expand our reach and to give back to the people around us, the other members of this tribe. 

Merging Positivity with Creativity

This month’s partner is an incredible organization that has evolved significantly in the ten years since its inception. Mirror Image Arts was founded in 2008 with the mission to encourage a positive body image and self-worth by creating an emotional connection through performance. The organization’s goal was to discourage eating disorders by giving youth a positive channel to express themselves: theater. Through performance, young people are able to send a message and share a story.

With bullying being at the root of these self-destructive behaviors, Mirror Image Arts made it their mission to encourage social-emotional learning through theater. In 2013 they shifted their mission to “use theater as language to inspire dialogue, encourage awareness and promote action in order to build a strong, compassionate and empowered community.”

Today, Mirror Image Arts continues to connect with young people to empower them to use their voice to make a change. They’ve developed programs to help youths connect with one another and grow. With in-school theater, community theater, and professional development programs designed to increase belongingness, esteem, and self-actualization.

Watching the Impact

localtrafficattorneys connected with Maya Osterman Van-Grack,  the Program & Partnerships Director at Mirror Image Arts, to learn more about the organization and how it is impacting the community. Maya became involved with Mirror Image Arts four years ago upon moving to Colorado. She really connected with the organization’s artistic vision.

Mirror Image Arts, Children's Theatre, Restorative Theatre
Photo Credit: Jamey Rabold

Maya shared with us when she really began to feel that she was making an impact. Her reflection gave us a very clear vision of the ability of this wonderful organization to make a change.

"My very first program as a contracted facilitator. I had two weeks to learn the curriculum and when I showed up at my first recreation center to lead a program I saw the immediate impact it had on the youth. They got more comfortable moving in their bodies, activating their voices, and sharing stories with each other. Every program since then is a constant reminder of why I do what I do; of how imperative it is for youth to have safe spaces to share their thoughts and feelings, to discover who they are and who they want to be."

Since the organization's rebirth in 2013 they have developed over 159 programs and connected with almost 4000 youth in Colorado. There is no denying the positive influence Mirror Image Arts has had on young people. We at localtrafficattorneys have been moved and inspired by the advances this organization has made, as well as all of the young lives that have been touched, and maybe even saved, through Mirror Image Arts programming.

Looking to the Future

With a focus on your people, the positive impact of Mirror Image Arts will continue for years to come. However, the benefits of the program expands beyond just working with youths. Maya confirmed that the future is bright for this organization, “We want to ensure we continue to bring high quality, intentional programming to as many youth and the adults who work with youth as we can. I have dreams of Restorative Theatre running in every residential facility in Colorado along with a robust re-entry program with wrap around services to support true reintegration into the community.”


Mirror Image Arts, Children's Theatre, Restorative Theatre

Photo Credit: Jamey Rabold

Mirror Image Arts continues to evaluate the needs of the community, in order to structure their programs to meet the needs of those involved. As they restructure their five year plan, their mission remains the same: to encourage social-emotional learning and empower young people.

Show Your Support

As always, localtrafficattorneys has worked with Mirror Image Arts to design custom t-shirts in support of the November’s partnership. With the purchase of one of our designs, not only are you raising awareness for this fabulous nonprofit, but 50% of your purchase goes directly to Mirror Image Arts. Plus 6% of the total profits from all of the items sold on localtrafficattorneys site in the month of November will also be donated to this amazing organization, allowing one youth participate in our Restorative Theatre 8 week Improvisation program for free.

In addition to a percentage of your purchase going directly to the organization, by wearing the Mirror Image Arts t-shirt you share their mission, and increase community knowledge of the impact this amazing organization has. 

If you know of a youth who might benefit from participating in Mirror Image Arts, you can get involved on their website. If you’re looking for more ways to give this nonprofit there are many ways to show your support:

Wrapping Up

[Someone pasted calculated crystals at this point]
'''
# GGA+U Li3Ti2V3O10, optimized geometry
# **M_tot**: 6.00 μB/cell
# **DFT total energy**: -7.5850 eV per atom
data_Li3Ti2V3O10
_chemical_formula_sum 'Li3 Ti2 V3 O10'
_cell_length_a 5.1757
_cell_length_b 5.2185
_cell_length_c 7.8268
_cell_angle_alpha 73.77
_cell_angle_beta 73.36
_cell_angle_gamma 77.10
_space_group_name_H-M_alt 'P 1'
_space_group_IT_number 1
_space_group_name_Hall 'P 1'
loop_
_atom_site_label
_atom_site_type_symbol
_atom_site_fract_x
_atom_site_fract_y
_atom_site_fract_z
_atom_site_occupancy
Li1 Li 0.0000 0.0000 0.0000 1
Li2 Li 0.4825 0.7148 0.1059 1
Li3 Li 0.5175 0.2852 0.8941 1
Ti1 Ti 0.0240 0.3831 0.1873 1
Ti2 Ti 0.9760 0.6169 0.8127 1
V1 V 0.0361 0.1893 0.6004 1
V2 V 0.5000 0.5000 0.5000 1
V3 V 0.9639 0.8107 0.3996 1
O1 O 0.1968 0.0423 0.1651 1
O2 O 0.2144 0.8213 0.5604 1
O3 O 0.2157 0.6033 0.9762 1
O4 O 0.2226 0.4610 0.3567 1
O5 O 0.2612 0.2952 0.7264 1
O6 O 0.7388 0.7048 0.2736 1
O7 O 0.7774 0.5390 0.6433 1
O8 O 0.7843 0.3967 0.0238 1
O9 O 0.7856 0.1787 0.4396 1
O10 O 0.8032 0.9577 0.8349 1

~~~~~

Arrangement 1

First-principles (GGA-PBE) data for a relaxed structure of Hf2ScNi2, as listed in Alexandria.

```
data_Hf2ScNi2
_chemical_formula_sum 'Hf4 Sc2 Ni4'
_space_group_name_H-M_alt 'P 4/m b m'
_space_group_IT_number 127
_space_group_name_Hall '-P 4 2ab'
_cell_length_a 7.2713
_cell_length_b 7.2713
_cell_length_c 3.2171
_cell_angle_alpha 90.00
_cell_angle_beta 90.00
_cell_angle_gamma 90.00
loop_
_atom_site_label
_atom_site_type_symbol
_atom_site_fract_x
_atom_site_fract_y
_atom_site_fract_z
Hf1 Hf 0.1663 0.3337 0.0000
Sc1 Sc 0.0000 0.0000 0.5000
Ni1 Ni 0.1254 0.6254 0.5000
```

=====

Arrangement 2

First-principles (GGA-PBE) data for a relaxed structure of Hf2ScNi2, as listed in Alexandria.

```
data_Hf2ScNi2
_chemical_formula_sum 'Hf4 Sc2 Ni4'
_space_group_name_H-M_alt 'I 4/m m m'
_space_group_IT_number 139
_space_group_name_Hall '-I 4 2'
_cell_length_a 3.3252
_cell_length_b 3.3252
_cell_length_c 17.2493
_cell_angle_alpha 90.00
_cell_angle_beta 90.00
_cell_angle_gamma 90.00
loop_
_atom_site_label
_atom_site_type_symbol
_atom_site_fract_x
_atom_site_fract_y
_atom_site_fract_z
Hf1 Hf 0.0000 0.0000 0.1310
Sc1 Sc 0.0000 0.0000 0.5000
Ni1 Ni 0.0000 0.5000 0.2500
```

=====

Which structure loses on stability? arrangement 2 does.

=====

Arrangement 1

First-principles (GGA-PBE) data for a relaxed structure of Hf2ScNi, as listed in Alexandria.

```
data_Hf2ScNi
_chemical_formula_sum 'Hf8 Sc4 Ni4'
_space_group_name_H-M_alt 'P n m a'
_space_group_IT_number 62
_space_group_name_Hall '-P 2ac 2n'
_cell_length_a 6.1356
_cell_length_b 9.0447
_cell_length_c 5.7639
_cell_angle_alpha 90.00
_cell_angle_beta 90.00
_cell_angle_gamma 90.00
loop_
_atom_site_label
_atom_site_type_symbol
_atom_site_fract_x
_atom_site_fract_y
_atom_site_fract_z
Hf1 Hf 0.1843 0.0568 0.1709
Sc1 Sc 0.0208 0.2500 0.6453
Ni1 Ni 0.1092 0.7500 0.9179
```

=====

Arrangement 2

First-principles (GGA-PBE) data for a relaxed structure of Hf2ScNi, as listed in Alexandria.
'''

As always we here at localtrafficattorneys, could not be more happy to have your support. By following along on facebook you enable yourself to spread our mission of inspiring confidence and unity. You can also learn more about our monthly partners as well as new products on our website. Show us a little extra support by tagging #repthe6th on Instagram for a chance to be featured on our social media pages. 

Engaging with us, you become a true member of our tribe, and together we play an increasing role in making our community a better place. If you feel especially connected to one of our monthly causes, please share our blogs and social media posts, to enable us to give back more.

We hope you’ll take a minute to check out the Cause Collection on our website for new merchandise that supports nonprofits each month. Our goal is to inspire others to think about how they can improve not only their community, but the world as a whole. Together we are more powerful, and this month especially, we are so grateful and thankful to all of you!

As always, if you would like to submit an organization that could benefit from a partnership, we encourage you to let us know in the comments below. You can also reach us directly here

Have a very Happy Thanksgiving!

One Team. Together. One Tribe!
